The Nutty Professor

Air Force Academy hires feminist ideologue to teach course on gender

September 12, 2013

A controversial professor who critics say is a feminist ideologue is instructing cadets at the United States Air Force Academy this year on gender issues as the military attempts to curb sexual assault.

Dr. Chris Kilmartin, a psychology professor at the University of Mary Washington, has described violence as "a men’s issue," called abuse by men "the single most serious health problem for women in the United States," and said the sexes are not "opposite." Critics say he has embellished statistics to support his teachings.

Kilmartin also told New York Times columnist Frank Bruni last month that comments such as telling a boy that he "throws like a girl" represent "the cultural undercurrent of rape."

Kilmartin is teaching two sections of a course titled, "Interdisciplinary Perspectives on Men and Masculinity" at the Air Force Academy (AFA) and will assist with violence prevention efforts in a volunteer role during the 2013-2014 academic year. He will receive $95,997 in private funds to teach at the AFA this year through the academy’s visiting professor program.

Kilmartin has worked with the military on sexual abuse issues before. He developed a curriculum of sexual assault prevention for the Naval Academy; helped write a training film for the Army; and spoke at the Army summit on sexual assault and military bases in San Antonio, Texas.

Critics say his views on gender ignore successful military practices and derive legitimacy from faulty surveys and selectively used statistics.

(Quantum chemistry results from another source follow)
1.
Computed, not measured: a gas-phase ion, C2HN2O3S (charge -1) in a non-equilibrium geometry, with ωB97M-V with the def2-TZVPD basis set.

Last column: natural (NBO) charge in e.
CARTESIAN COORDINATES (ANGSTROEM)
C (-0.46681, 0.01256, -0.03223)  0.40
C (-1.96821, -1.31183, -1.91077)  0.12
N (-1.25765, -0.71055, -0.80377)  -0.32
N (-2.40162, -1.47144, -0.66930)  -0.36
O (2.72253, -0.23167, 0.75055)  -0.97
O (0.45190, 0.80994, -0.59190)  -0.74
O (1.53278, 1.75335, 1.62940)  -0.98
S (2.11813, 1.07303, 0.48728)  1.68
H (-0.73104, 0.07660, 1.14074)  0.17

Properties
Charge: -1
E_HOMO (eV): -4.777
Kohn-Sham gap (eV): 8.547
ΔE to the lowest compared entry with this formula, charge and spin (kJ/mol): 338.48
Total energy (Eh): -810.15530

2.
Computed, not measured: 8 unconnected molecules or ions with the total composition C28H39BN7 in a non-equilibrium geometry, with ωB97M-V with the def2-TZVPD basis set.

Last column: Löwdin charge in e.
CARTESIAN COORDINATES (ANGSTROEM)
B (0.25603, 0.63579, -0.49308)  -0.44
H (-0.30097, 1.26479, 0.46992)  -0.02
H (0.52903, 1.37679, -1.26108)  -0.11
H (1.38203, 0.25479, -0.09208)  -0.04
H (-0.48497, -0.15621, -0.93008)  -0.06
N (-2.52697, -3.49221, 0.10092)  -0.05
C (-1.51797, -3.50121, -0.79508)  -0.14
C (-1.91397, -4.52621, -1.81408)  -0.12
C (-3.18597, -5.13421, -1.36908)  -0.12
C (-3.47697, -4.46021, -0.13108)  -0.15
H (-2.29697, -2.99421, 1.04492)  0.12
H (-0.64497, -2.82221, -0.44908)  0.13
H (-1.19997, -4.65721, -2.79408)  0.11
H (-3.94297, -5.86521, -1.84608)  0.10
H (-4.22297, -4.38721, 0.55692)  0.06
N (-0.65897, 4.15579, -2.00208)  -0.05
C (-0.60597, 4.48379, -3.31908)  -0.14
C (-1.07597, 5.96879, -3.48708)  -0.08
C (-1.38897, 6.41379, -2.07008)  -0.09
C (-1.25597, 5.18079, -1.17508)  -0.09
H (-0.37397, 3.17079, -1.58308)  0.15
H (-0.30097, 3.69979, -4.11808)  0.12
H (-1.12197, 6.47179, -4.44808)  0.04
H (-1.65797, 7.40379, -1.76008)  0.04
H (-1.20497, 4.91979, -0.16308)  0.05
N (2.20403, -0.48921, -3.07108)  -0.05
C (1.50903, -1.09621, -4.10408)  -0.14
C (2.47903, -1.65721, -5.15208)  -0.07
C (3.80603, -1.27221, -4.54908)  -0.10
C (3.61403, -0.50221, -3.19908)  -0.09
H (1.89203, -0.15221, -2.11208)  0.09
H (0.28003, -1.33021, -4.04908)  0.16
H (2.15703, -2.06121, -5.99108)  0.00
H (4.74803, -1.57121, -4.94108)  0.03
H (4.43303, -0.19721, -2.50208)  0.09
N (-1.72597, -0.93521, 1.94192)  0.01
C (-3.05497, -0.87421, 2.09492)  -0.10
C (-3.46797, -1.99221, 3.05292)  -0.09
C (-2.18697, -2.63221, 3.49892)  -0.08
C (-1.06397, -1.95421, 2.65392)  -0.05
H (-1.17397, -0.32021, 1.38692)  0.06
H (-3.58897, -0.21621, 1.65492)  0.01
H (-4.43797, -2.51121, 3.42992)  0.10
H (-1.94397, -3.63821, 4.11492)  0.12
H (-0.18297, -2.10821, 2.55292)  -0.01
N (2.13303, 1.58179, 2.68492)  -0.02
C (1.84703, 1.89479, 3.96892)  -0.13
C (3.09403, 2.34679, 4.54792)  -0.08
C (4.27303, 2.20879, 3.47892)  -0.01
C (3.46603, 1.73579, 2.28592)  -0.11
H (1.61303, 1.21179, 1.95792)  0.05
H (0.85503, 1.80979, 4.35392)  0.09

"He doesn't seem to notice the inconsistency of a philosophy that claims to protect women from harm and sexual abuse, but also advocates exposure to the worst forms of violence and sexual abuse—at the hands of the enemy in war," said Elaine Donnelly, president of the Center for Military Readiness and a former member of the 1992 Presidential Commission on the Assignment of Women in the Armed Forces, in an email.

"I agree with much of what he writes; men should not demean women with sexually suggestive objects and activities anywhere, any time. Character is defined by what you do when no one is looking," she added.

Donnelly said the military’s removal of a ban on direct ground combat jobs for women, which Kilmartin supports, could result in lower physical standards for both female and male troops and encourage cultural acceptance of violence against women both in the military and society more broadly.

Violence as a "men’s issue"

"I challenge you to tell me one way in which the sexes are opposite," Kilmartin wrote in a piece for the website of the National Organization for Men Against Sexism (NOMAS), which describes itself as "pro-feminist, gay-affirmative, anti-racist, enhancing men’s lives."

"Calling men and women opposites is like calling an IBM computer the opposite of an Apple. And ‘battle of the sexes’ implies that men and women are at war. We will never solve this problem until we work together and emphasize our commonalities rather than our differences," he wrote.

"Violence against women is a men’s issue, and men have to take a leadership role in building a more positive male community," he wrote later in the post.

Christina Hoff Sommers, resident scholar at the American Enterprise Institute (AEI) and former philosophy professor, said in an email that Kilmartin’s focus on the purported violent attributes of men is misplaced.

"[Healthy young men] assert their masculinity in ways that require physical and intellectual skills and self-discipline. In American society, the overwhelming majority of healthy, normal young men don’t batter, rape, or terrorize women; they respect them and treat them as friends," she said.

"Kilmartin appears to have overlooked the critical distinction between healthy and aberrational masculinity. He takes aberration as the norm. That is why it is so troubling that the United States Military is drawing so heavily on his expertise. He is an expert in gender ideology—not masculinity," she said.

Kilmartin defended his work in an interview with the Washington Free Beacon and said he "care[s] deeply about men."

"I’ve been hearing this criticism for 25 years that ‘you don’t care about men.’ I care deeply about men," he said.

He also said violence must be viewed through the lens of gender.

"These two facts are indisputable—most men are not violent," he said. "But most violent people are male. Males commit 90 percent of the violent crimes in the U.S."

"Violence is undeniably a gender issue," he added.

He said his courses strive to help cadets "understand how masculinity and sexism operate" and challenge them to apply gender studies to their roles as leaders and managers of personnel.

Kilmartin was selected to teach the courses because of his expertise and prior experience with the military, said Maj. Brus Vidal, director of public affairs for the AFA, in an email.

"He is one of 16 Distinguished Visiting Professors here this academic year and his contributions, along with his 15 other visiting colleagues, are greatly valued as we work together to produce lieutenants for our Air Force and for our Nation here at the Air Force's Academy," Vidal said.

Critics question surveys, statistics

The military has faced intense media and congressional pressure since the release of the Department of Defense’s 2012 annual report on sexual assault in the military. An estimated 26,000 active duty members said in surveys that they experienced "unwanted sexual contact" last year, compared to 19,300 in 2010.

"Combating sexual assault and sexual harassment within the ranks is our number one priority," Gen. Ray Odierno, Army chief of staff, told the Senate Armed Services Committee in June.

However, critics have questioned the reliability of the surveys and noted that sexual assault rates in the military have declined over time.

University of San Diego law professor Gail Heriot, in a statement she provided for inclusion in a U.S. Commission on Civil Rights report, said rates of unwanted sexual contact "dropped dramatically" in 2010, by 35 percent for women and 50 percent for men.

The 2012 survey reported incidences of unwanted sexual contact among 6.1 percent of women and 1.2 percent of men, an increase compared to 2010. Yet the 2012 rates were still 10 percent below 2006 levels for women and 33 percent below 2006 levels for men, Heriot said.

Additionally, the 2012 survey found that 96 percent of women and 97 percent of men received sexual assault training in the last 12 months.

"Unless these training programs were actually encouraging sexual assault, which doesn’t seem likely, it makes sense to look for problems in data gathering and processing before one jumps to the conclusion that sexual assault rates are getting worse," Heriot wrote.

Kilmartin told the Free Beacon that he believes the military does a good job of instilling restraint in its troops to discourage aberrant behavior. Yet the services must translate that discipline into an atmosphere of respect toward women to prevent sexual assault, he said.

The lack of respect for women extends beyond the military, Kilmartin said.

"In some ways it’s not peculiar to military culture. Through American culture in general we raise boys with the sense that the worst thing we can say is that a boy ‘throws like a girl.’ We teach that acting feminine diminishes them in some ways," he said.

"It’s not a big leap to go from that to having disdain for women themselves."

However, experts dispute the statistics often employed by feminists like Kilmartin to suggest a culture of male violence.

"Men's violence is the single most serious health problem for women in the United States. It causes more harm than accidents, muggings, and cancer combined," Kilmartin wrote in NOMAS.

"For women aged 15-44, an estimated 50% of emergency room visits are the result of violence at the hands of their husbands, boyfriends, ex-husbands, or ex-boyfriends."

AEI scholar Sommers contested a similar statistic in a 2009 exchange on the Chronicle of Higher Education’s website with Nancy K.D. Lemon, a law professor at the University of California Berkeley and author of Domestic Violence Law.

"The Centers for Disease Control and Justice Department statistics [Lemon] cites to demonstrate her book's accuracy are not about the 40 million women who visit emergency rooms, but rather about the approximately 550,000 women who come to emergency rooms ‘for violence-related injuries,’" Sommers wrote in a response.

"Of that group, approximately 35 percent were attacked by intimates. Far less than 1 percent of the women seeking medical care in emergency rooms are there because of domestic violence."

Kilmartin told the Free Beacon he respects men and that "most military people are really good people." Yet more need to act like Col. Mark Ciero, who walked out of a recent comedy show at an Air Force base in England after hearing sexual jokes that he considered "adverse to [military] culture," Kilmartin said.

Attached: molecular data:
____________
1.
Density functional theory data (wB97M-V/def2-TZVPD) for 2 unconnected molecules or ions with the total composition C10H8N2 at a distorted geometry.

Values from the calculation:
- highest occupied orbital energy (Ha) = -0.27293
- ΔE to the lowest compared entry with this formula, charge and spin (kJ/mol) = 419.7
- M (g/mol) = 156.19
- DFT total energy (eV) = -13475.3326
- orbital gap (eV) = 5.7
- largest force on an atom (eV/Å) = 3.3

Each line ends with the Löwdin charge.
Geometry (Å):
C1 1.28486 -0.07483 1.52865  -0.09
C2 0.71029 1.18129 1.36533  -0.03
C3 -0.63969 1.48900 1.21934  -0.03
C4 -1.71636 0.61058 1.21438  -0.06
C5 -1.73427 -0.76729 1.20992  -0.05
C6 -0.65988 -1.65359 1.22996  -0.03
C7 0.68824 -1.33019 1.40725  -0.02
H1 2.38791 -0.09180 1.55022  0.09
H2 1.40728 2.02635 1.35115  0.12
H3 -0.87731 2.55350 1.16180  0.12
H4 -2.69490 1.09131 1.18563  0.12
H5 -2.72064 -1.24047 1.16746  0.12
H6 -0.89334 -2.72511 1.16627  0.12
H7 1.38422 -2.17907 1.44917  0.13
C8 2.65385 -0.17607 3.51699  -0.24
C9 3.55783 -1.25843 3.52722  -0.30
N1 4.32601 -2.14916 3.45509  0.11
C10 1.83110 -0.11170 4.65230  -0.30
N2 1.08788 0.00672 5.55995  0.10
H8 3.07788 0.79533 3.20563  0.11



2.
Density functional theory data (wB97M-V/def2-TZVPD) for a single C10H8N2 molecule at a distorted geometry.

Values from the calculation:
- highest occupied orbital energy (Ha) = -0.32863
- ΔE to the lowest compared entry with this formula, charge and spin (kJ/mol) = 239.2
- M (g/mol) = 156.19
- DFT total energy (eV) = -13477.2026
- orbital gap (eV) = 9.2
- structure (SMILES) = c1ccc(-c2ncccn2)cc1
- largest force on an atom (eV/Å) = 14.1

Each line ends with the Löwdin charge.
Geometry (Å):
C1 3.31863 0.03627 -0.70730  -0.08
C2 2.81891 -0.85831 0.26402  -0.03
C3 1.40974 -0.88755 0.52761  0.01
C4 0.54902 -0.03805 -0.17589  -0.17
C5 1.11598 0.91797 -1.00830  -0.04
C6 2.44997 0.90916 -1.34063  -0.08
C7 -0.87441 0.00029 0.11532  -0.24
C8 -2.51340 -0.60854 1.53935  -0.20
C9 -3.44455 -0.12088 0.71630  -0.10
C10 -3.01996 0.50031 -0.39105  -0.08
H1 4.37283 0.14229 -0.70350  0.09
H2 3.50825 -1.58774 0.74842  0.11
H3 1.02097 -1.29151 1.20184  -0.02
H4 0.40965 1.47933 -1.64288  0.12
H5 2.69040 1.64570 -1.98636  0.07
H6 -2.91977 -1.02289 2.57460  0.15
H7 -4.54036 -0.09619 0.79496  0.12
H8 -3.46602 1.01780 -1.11508  0.07
N1 -1.21496 -0.69564 1.36024  0.15
N2 -1.67094 0.55818 -0.77167  0.14



3.
Density functional theory data (wB97M-V/def2-TZVPD) for 2 unconnected molecules or ions with the total composition C10H8N2O2P at a distorted geometry.

Values from the calculation:
- charge = -1
- highest occupied orbital energy (spin up / spin down) (Ha) = -0.14587 / -0.14591
- ΔE to the lowest compared entry with this formula, charge and spin (kJ/mol) = 156.2
- M (g/mol) = 219.16
- DFT total energy (eV) = -26863.6537
- orbital gap (spin up / spin down) (eV) = 7.4 / 7.4
- largest force on an atom (eV/Å) = 3.1

Each line ends with the Löwdin charge.
Geometry (Å):
C1 2.65691 0.64140 -1.51211  -0.09
____________

The comedian, Mitch Fatel, told the Air Force Times that he made sure his act was scheduled as an adult show late in the evening and that it "scares" him "to think that these people, who we are entrusting with our lives, we really don’t think that they’ll be able to discern that that’s not OK, that that’s a joke."

-- begin --
1.
Here is one molecule with the formula C5H9N3O from the OMol25 dataset. Energies are from the ωB97M-V functional and the def2-TZVPD basis.

Last column: natural (NBO) charge in e.
Cartesian coordinates (Å):
C1 -0.42373 -1.72474 -1.64518  -0.39
C2 0.43575 -1.07858 -0.82240  -0.16
C3 -0.28299 -0.42988 1.35163  0.67
C4 -1.23311 0.88863 -0.65082  -0.62
C5 0.05666 0.17666 0.03960  -0.10
N1 1.13206 2.17544 -0.35605  -0.31
N2 1.22668 1.02244 0.17665  -0.14
N3 0.54525 -0.09318 2.33842  -0.81
O1 -1.18737 -1.23079 1.41178  -0.61
H1 0.05641 -2.45802 -2.30188  0.20
H2 -1.55121 -1.74350 -1.65656  0.23
H3 1.49515 -1.36576 -0.72691  0.21
H4 -2.05333 0.87103 0.11603  0.23
H5 -1.37520 0.42456 -1.56777  0.22
H6 -0.79035 1.88859 -0.71982  0.24
H7 2.03540 2.64957 -0.26865  0.33
H8 1.37913 0.40422 2.02617  0.40
H9 0.53481 -0.37670 3.25574  0.40

As for the gap between HOMO and LUMO: 0.35799 Eh. The SMILES is [H]/N=N/[C@@](C)(C=C)C(N)=O.



2.
Here is C5H9N3O as an isolated structure from the OMol25 dataset. Energies are from the ωB97M-V functional and the def2-TZVPD basis.

Last column: natural (NBO) charge in e.
Cartesian coordinates (Å):
C1 0.63936 -1.73822 -1.06748  -0.61
C2 0.64892 -0.60790 -0.04671  0.16
C3 0.06702 -0.86280 1.36046  -0.27
C4 -1.04263 -0.20939 1.41331  0.01
C5 -0.25329 0.59287 -0.50599  0.37
H1 1.06363 -1.44180 -2.05606  0.24
H2 -0.31505 -2.36163 -1.31309  0.22
H3 1.13478 -2.48777 -0.70777  0.21
H4 2.14802 1.12385 -0.11504  0.48
H5 0.28465 -1.81854 2.04235  0.24
H6 -1.85542 -0.19518 2.14106  0.23
H7 -0.95599 2.85952 1.26282  0.35
H8 -2.30671 2.44485 -0.11222  0.40
H9 1.20508 0.62425 -1.62681  0.37
N1 -1.07162 0.87480 0.48033  -0.29
N2 -1.71629 2.02805 0.71137  -0.66
N3 0.18379 1.39867 -1.51224  -0.71
O1 2.14176 -0.22363 -0.34828  -0.72

As for the gap between HOMO and LUMO: 0.32280 Eh.



3.
Here is a 2-piece molecular cluster, C5H9N3O3 overall from the OMol25 dataset. Energies are from the ωB97M-V functional and the def2-TZVPD basis.

Last column: natural (NBO) charge in e.
Cartesian coordinates (Å):
C1 1.01791 -0.56723 -0.57111  -0.12
C2 -0.27461 -0.27641 -0.62169  0.10
C3 -1.51729 -1.20853 -0.47500  0.30
C4 -1.39350 -2.71033 -0.37991  -0.68
C5 2.10998 1.83587 0.75741  0.17
N1 -2.59452 -0.66687 -0.82862  -0.66
N2 1.65553 2.89458 0.05645  -0.72
N3 1.41443 1.24433 1.82157  0.41
O1 0.39751 1.81150 2.26561  -0.45
O2 1.73228 0.06593 2.12296  -0.42
O3 -0.72568 0.97431 -0.93734  -0.69
H1 1.54931 -1.50935 -0.43779  0.19
H2 -2.23426 -3.12643 0.23192  0.23
H3 -1.52133 -3.05702 -1.41756  0.24
H4 -0.45080 -3.02642 -0.01597  0.23
H5 2.99137 1.32940 0.50194  0.21
H6 -3.29507 -1.29276 -0.50343  0.35
H7 1.87274 2.95589 -0.86403  0.40
H8 0.89319 3.42902 0.42614  0.42
H9 -1.62719 0.90053 -1.13156  0.50

As for the gap between HOMO and LUMO (alpha / beta): 0.26574 / 0.30960 Eh.



4.
Here is one molecule with the formula C5H9N3O3S from the OMol25 dataset. Energies are from the ωB97M-V functional and the def2-TZVPD basis.
-- stop --
Here the page continues:

Clarification: This story has been updated to clarify the nature of Gail Heriot's statement to the U.S. Commission on Civil Rights.